**Data**
=====
Entry 1:
Below is a relaxed Li2YTl crystal, with properties calculated at the PBE level.

abc: 6.869 6.869 6.869
angles: 90.00 90.00 90.00
Space group Fm-3m (No. 225)
Asymmetric unit:
Li: 0.250 0.250 0.250 [8 per cell]
Y: 0.000 0.000 0.000 [4 per cell]
Tl: 0.000 0.000 0.500 [4 per cell]

Properties
- calculated density (Mg/m³) = 6.296
- energy of formation (meV per atom) = -251.4
- crystal system = cubic
- total DFT energy (no corrections) (eV per atom) = -3.41

Entry 2:
Below is a relaxed Li3Zn crystal, with properties calculated at the PBE level.

abc: 3.989 3.989 8.357
angles: 90.00 90.00 90.00
Space group I4/mmm (No. 139)
Asymmetric unit:
Li: 0.000 0.000 0.000 [2 per cell]
Li: 0.000 0.500 0.250 [4 per cell]
Zn: 0.000 0.000 0.500 [2 per cell]

Properties
- calculated density (Mg/m³) = 2.153
- energy of formation (meV per atom) = -99.2
- crystal system = tetragonal
- total DFT energy (no corrections) (eV per atom) = -1.85

Entry 3:
Below is a relaxed LiZn crystal, with properties calculated at the PBE level.

abc: 6.175 6.175 6.175
angles: 90.00 90.00 90.00
Space group Fd-3m (No. 227, origin choice 2)
Asymmetric unit:
Li: 0.125 0.125 0.125 [8 per cell]
Zn: 0.125 0.125 0.625 [8 per cell]

Properties
- calculated density (Mg/m³) = 4.083
- energy of formation (meV per atom) = -218.7
- crystal system = cubic
- total DFT energy (no corrections) (eV per atom) = -1.80

Entry 4:
Below is a relaxed LiZn2 crystal, with properties calculated at the PBE level.

abc: 9.493 9.493 9.493
angles: 90.00 90.00 90.00
Space group Fd-3m (No. 227, origin choice 2)
Asymmetric unit:
Li: 0.000 0.000 0.000 [16 per cell]
Zn: 0.027 0.027 0.723 [32 per cell]

Properties
- calculated density (Mg/m³) = 4.279
- energy of formation (meV per atom) = 88.3
- crystal system = cubic
- total DFT energy (no corrections) (eV per atom) = -1.39


[1]
Entry from the Materials Project: an optimized crystal structure of Ba2CaCr2F14 (PBE+U).

The structure in CIF format:
```
data_Ba2CaCr2F14
_cell_length_a 5.606
_cell_length_b 5.533
_cell_length_c 19.986
_cell_angle_alpha 76.14
_cell_angle_beta 90.00
_cell_angle_gamma 90.00
_symmetry_space_group_name_H-M 'P 1'
_symmetry_Int_Tables_number 1
_symmetry_space_group_name_Hall 'P 1'
loop_
_atom_site_label
_atom_site_type_symbol
_atom_site_fract_x
_atom_site_fract_y
_atom_site_fract_z
Ba1 Ba 0.244 0.317 0.425
Ba2 Ba 0.756 0.683 0.575
Ba3 Ba 0.756 0.317 0.925
Ba4 Ba 0.244 0.683 0.075
Ca1 Ca 0.343 0.500 0.750
Ca2 Ca 0.657 0.500 0.250
Cr1 Cr 0.221 0.182 0.620
Cr2 Cr 0.779 0.182 0.120
Cr3 Cr 0.221 0.818 0.880
Cr4 Cr 0.779 0.818 0.380
F1 F 0.047 0.836 0.436
F2 F 0.047 0.164 0.064
F3 F 0.953 0.164 0.564
F4 F 0.953 0.836 0.936
F5 F 0.047 0.366 0.672
F6 F 0.047 0.634 0.828
F7 F 0.953 0.634 0.328
F8 F 0.953 0.366 0.172
F9 F 0.279 0.490 0.555
F10 F 0.279 0.510 0.945
F11 F 0.721 0.510 0.445
F12 F 0.721 0.490 0.055
F13 F 0.601 0.034 0.060
F14 F 0.601 0.966 0.440
F15 F 0.399 0.966 0.940
F16 F 0.399 0.034 0.560
F17 F 0.858 0.885 0.176
F18 F 0.858 0.115 0.324
F19 F 0.142 0.115 0.824
F20 F 0.142 0.885 0.676
F21 F 0.481 0.752 0.832
F22 F 0.481 0.248 0.668
F23 F 0.519 0.248 0.168
F24 F 0.519 0.752 0.332
F25 F 0.390 0.717 0.185
F26 F 0.390 0.283 0.315
F27 F 0.610 0.283 0.815
F28 F 0.610 0.717 0.685
```

Output
Density: 3.778 g/cm3
Uncorrected energy: -211.55 eV for the cell shown

[2]
Entry from the Materials Project: an optimized crystal structure of BaCaCrF7 (PBE+U).

The structure in CIF format:
```
data_BaCaCrF7
_cell_length_a 5.548
_cell_length_b 5.506
_cell_length_c 19.981
_cell_angle_alpha 75.99
_cell_angle_beta 90.00
_cell_angle_gamma 90.00
_symmetry_space_group_name_H-M 'P 1'
_symmetry_Int_Tables_number 1
_symmetry_space_group_name_Hall 'P 1'
loop_
_atom_site_label
_atom_site_type_symbol
_atom_site_fract_x
_atom_site_fract_y
_atom_site_fract_z
Ba1 Ba 0.247 0.315 0.431
Ba2 Ba 0.753 0.685 0.569
Ba3 Ba 0.753 0.315 0.931
Ba4 Ba 0.247 0.685 0.069
Ca1 Ca 0.328 0.500 0.750
Ca2 Ca 0.672 0.500 0.250
Ca3 Ca 0.792 0.000 0.750
=====

**Wanted**
Could you start at the top of the contents above and restate each line, ending with the one that has "0.564"?

**Response**
Entry 1:
Below is a relaxed Li2YTl crystal, with properties calculated at the PBE level.

abc: 6.869 6.869 6.869
angles: 90.00 90.00 90.00
Space group Fm-3m (No. 225)
Asymmetric unit:
Li: 0.250 0.250 0.250 [8 per cell]
Y: 0.000 0.000 0.000 [4 per cell]
Tl: 0.000 0.000 0.500 [4 per cell]

Properties
- calculated density (Mg/m³) = 6.296
- energy of formation (meV per atom) = -251.4
- crystal system = cubic
- total DFT energy (no corrections) (eV per atom) = -3.41

Entry 2:
Below is a relaxed Li3Zn crystal, with properties calculated at the PBE level.

abc: 3.989 3.989 8.357
angles: 90.00 90.00 90.00
Space group I4/mmm (No. 139)
Asymmetric unit:
Li: 0.000 0.000 0.000 [2 per cell]
Li: 0.000 0.500 0.250 [4 per cell]
Zn: 0.000 0.000 0.500 [2 per cell]

Properties
- calculated density (Mg/m³) = 2.153
- energy of formation (meV per atom) = -99.2
- crystal system = tetragonal
- total DFT energy (no corrections) (eV per atom) = -1.85

Entry 3:
Below is a relaxed LiZn crystal, with properties calculated at the PBE level.

abc: 6.175 6.175 6.175
angles: 90.00 90.00 90.00
Space group Fd-3m (No. 227, origin choice 2)
Asymmetric unit:
Li: 0.125 0.125 0.125 [8 per cell]
Zn: 0.125 0.125 0.625 [8 per cell]

Properties
- calculated density (Mg/m³) = 4.083
- energy of formation (meV per atom) = -218.7
- crystal system = cubic
- total DFT energy (no corrections) (eV per atom) = -1.80

Entry 4:
Below is a relaxed LiZn2 crystal, with properties calculated at the PBE level.

abc: 9.493 9.493 9.493
angles: 90.00 90.00 90.00
Space group Fd-3m (No. 227, origin choice 2)
Asymmetric unit:
Li: 0.000 0.000 0.000 [16 per cell]
Zn: 0.027 0.027 0.723 [32 per cell]

Properties
- calculated density (Mg/m³) = 4.279
- energy of formation (meV per atom) = 88.3
- crystal system = cubic
- total DFT energy (no corrections) (eV per atom) = -1.39


[1]
Entry from the Materials Project: an optimized crystal structure of Ba2CaCr2F14 (PBE+U).

The structure in CIF format:
```
data_Ba2CaCr2F14
_cell_length_a 5.606
_cell_length_b 5.533
_cell_length_c 19.986
_cell_angle_alpha 76.14
_cell_angle_beta 90.00
_cell_angle_gamma 90.00
_symmetry_space_group_name_H-M 'P 1'
_symmetry_Int_Tables_number 1
_symmetry_space_group_name_Hall 'P 1'
loop_
_atom_site_label
_atom_site_type_symbol
_atom_site_fract_x
_atom_site_fract_y
_atom_site_fract_z
Ba1 Ba 0.244 0.317 0.425
Ba2 Ba 0.756 0.683 0.575
Ba3 Ba 0.756 0.317 0.925
Ba4 Ba 0.244 0.683 0.075
Ca1 Ca 0.343 0.500 0.750
Ca2 Ca 0.657 0.500 0.250
Cr1 Cr 0.221 0.182 0.620
Cr2 Cr 0.779 0.182 0.120
Cr3 Cr 0.221 0.818 0.880
Cr4 Cr 0.779 0.818 0.380
F1 F 0.047 0.836 0.436
F2 F 0.047 0.164 0.064
F3 F 0.953 0.164 0.564